It was also on 26th Jan., 1950 that President Elect. Dr. Rajendrea Prasad suggested 'CLASSLESS SOCIETY SHOULD BE OUR AIM' and continuing he said: "We must rededicate ourselves --- for establishing a classless, co-operative free and happy society in the country". The present day 'United Front Government' does speak of co-operation among the parties but inside fighting-whether from major parties i.e. the Congress or BJP or among the members of the United Front continues to mar the situation. This indicated that we have not stood to the principles enshrined and advocated with promulgation of the Constitution of India.
I guess it may have something to do with being a politician's wife; of course, I cannot understand what that's like, as I've never been in those shoes. I suppose there may be a sense of duty that goes with being First Lady. After all, Silda invested a lot in her husband's career; when he loses the governorship, she loses her role as First Lady. Maybe that's why she encouraged him to stay, and didn't want him to resign his post. Perhaps she did it for her daughters, to show family unity and love for her husband. [[|Shopcon]] hope Eliot Spitzer realizes how lucky he is to have his loyal family, and how deeply he violated them with his actions.
So how would a person know if this getting your ex back system is for you? The following are a couple of symptoms that a person busy breaking up might have. Not listening to the radio in fear a certain song might play, experiencing a loss of appetite, constantly checking email and phone for any messages, feeling depressed and not mingling with friends to name a few. People in this situation sometimes makes various mistakes in trying to get their ex back and The Magic Of Making Up systems even touches on these aspects.
Others may raise the issue of inflation. Inflation can be defined as the gradual rise in prices over time. It is why a Mars Bar now costs $1 instead of the 50 cents 15 years ago. Inflation is often overlooked by fans of Compound Interest, perhaps this is because they just want to hear the good news, the fact is though it cannot be ignored and must be taken into account.
**Attached: crystal structures**
********
! PBE Ho4TlIr2, relaxed; values from VASP
! Formation energy from the elements = -3.9 eV/f.u.
! Calculated total energy = -84.509 eV/cell
! Relative energy among the computed polymorphs = 0.37 eV/f.u.
&SYSTEM
  ibrav = 0, nat = 14, ntyp = 3
/
ATOMIC_SPECIES
Tl 204.38 Tl.upf
Ir 192.22 Ir.upf
Ho 164.93 Ho.upf
CELL_PARAMETERS angstrom
7.175 0.000 -2.605
-3.556 6.269 -2.514
-0.062 0.000 7.633
ATOMIC_POSITIONS crystal
Tl 0.000 0.000 0.000
Tl 0.750 0.500 0.250
Ir 0.875 0.115 0.490
Ir 0.510 0.385 0.625
Ir 0.375 0.885 0.760
Ir 0.240 0.615 0.125
Ho 0.155 0.901 0.399
Ho 0.601 0.756 0.502
Ho 0.004 0.599 0.748
Ho 0.252 0.256 0.851
Ho 0.595 0.744 0.996
Ho 0.746 0.244 0.845
Ho 0.498 0.099 0.254
Ho 0.149 0.401 0.405

***

! PBE UInFe, relaxed; values from VASP
! Formation energy from the elements = 0.2 eV/f.u.
! Calculated total energy = -44.538 eV/cell
&SYSTEM
  ibrav = 0, nat = 6, ntyp = 3
/
ATOMIC_SPECIES
U 238.03 U.upf
In 114.82 In.upf
Fe 55.84 Fe.upf
CELL_PARAMETERS angstrom
-2.439 0.297 -3.816
3.779 -0.589 -2.461
-1.366 -5.760 0.424
ATOMIC_POSITIONS crystal
U 0.750 0.553 0.785
U 0.250 0.447 0.215
In 0.750 0.953 0.340
In 0.250 0.047 0.660
Fe 0.750 0.152 0.932
Fe 0.250 0.848 0.068

***

! PBE Pr3SmIn, relaxed; values from VASP
! Formation energy from the elements = -1.0 eV/f.u.
! Calculated total energy = -45.517 eV/cell
! Relative energy among the computed polymorphs = 0.00 eV/f.u.
&SYSTEM
  ibrav = 0, nat = 10, ntyp = 3
/
ATOMIC_SPECIES
Pr 140.91 Pr.upf
Sm 150.36 Sm.upf
In 114.82 In.upf
CELL_PARAMETERS angstrom
-0.531 -4.128 2.691
4.799 0.177 1.219
-3.201 5.160 11.847
ATOMIC_POSITIONS crystal
Pr 0.770 0.250 0.108
Pr 0.380 0.250 0.889
Pr 0.574 0.250 0.501
Pr 0.269 0.750 0.111
Pr 0.878 0.750 0.892
Pr 0.075 0.750 0.499
Sm 0.476 0.750 0.696
Sm 0.172 0.250 0.304
In 0.671 0.750 0.307
In 0.978 0.250 0.693

***

! PBE Rb2Pa2RhSe6, relaxed; values from VASP
! Raw formation energy = -25.916 kcal/mol of atoms
! Calculated total energy = -61.548 eV/cell
&SYSTEM
  ibrav = 0, nat = 11, ntyp = 4
/
ATOMIC_SPECIES
Rb 85.47 Rb.upf
Pa 231.04 Pa.upf
Rh 102.91 Rh.upf
Se 78.96 Se.upf
CELL_PARAMETERS angstrom
-6.831 -0.901 -0.005
4.132 -5.513 0.027
0.861 2.106 8.356
ATOMIC_POSITIONS crystal
Rb 0.830 0.170 0.000
Rb 0.170 0.830 0.000
Pa 0.337 0.663 0.500
Pa 0.663 0.337 0.500
Rh 0.000 0.000 0.500
Se 0.746 0.746 0.695
Se 0.063 0.386 0.689
Se 0.254 0.254 0.305
Se 0.386 0.063 0.689
Se 0.937 0.614 0.311
Se 0.614 0.937 0.311

***

! PBE TbY2Sn2, relaxed; values from VASP
! Formation energy from the elements = -3.1 eV/f.u.
! Calculated total energy = -57.284 eV/cell
&SYSTEM
  ibrav = 0, nat = 10, ntyp = 3
/
ATOMIC_SPECIES
Tb 158.93 Tb.upf
Y 88.91 Y.upf
Sn 118.71 Sn.upf
CELL_PARAMETERS angstrom
-1.237 1.060 -4.253
-4.705 -4.763 0.180
-5.439 5.577 5.410
ATOMIC_POSITIONS crystal
Tb 0.406 0.085 0.812
Tb 0.594 0.585 0.188
Y 0.408 0.567 0.815
Y 0.791 0.827 0.583
Y 0.209 0.327 0.417
Y 0.592 0.067 0.185
Sn 0.989 0.827 0.977
Sn 0.819 0.329 0.639
Sn 0.181 0.829 0.361
Sn 0.011 0.327 0.023

***
********
Many of Curry's loyal fans believe to this day that Lauer threw Curry under the bus in order to save his own job at the network, a charge he fiercely denies.
Completely in the Canal (CIC) The CIC is the smallest custom in the ear hearing aid and very popular due to its cosmetic appeal and ease of use. There are usually no manual controls on a CIC, telephone usage is often better because they are less likely to whistle. Lack of power is the main reason people cannot use this style, though a small ear canal may keep you from being able to wear one also.
When [[|Shopcon]] comes to successful long-term investing, compound interest is possibly the most important concept you need to understand. Compound interest is when you earn interest on top of interest. For example if you invest $1,000 in an account with an average yearly interest rate of 10%. After one year you will have $1,100 in the account. Now you would expect that after two years your account value would increase to $1,200. However, you would be wrong. [[|Shopcon]] is actually applied to the $1,100 you have in the account. Therefore, you will actually have $1,210 after two years.